II. New Companions

The next morning, Lucien woke to the sun shining through the window, the golden rays warmly brushing over his skin and causing him to look as if he was glowing in the light. The birds chirping and singing were like a whimsical alarm and lullaby all at once. The scratchy blankets were wrapped loosely around the boy's waist and Lucien couldn't have asked for a better morning.

The thought of an adventure was brewing in the front of his mind as his eyes opened, showing his inky black orbs that were still as warm in the morning as at night.

A knock on the door sobered Lucien's mind and without an answer, the door was swung open by Beorn. He looked at the boy with raised eyebrows and crossed his arms, "Put a shirt on, boy. You'll be leaving soon." He spoke gruffly but teasingly before leaving without shutting the door.

Lucien rolled his eyes and sat up, "I love you too, Beorn. Really, I do. And thank you for the privacy." He huffed, picking up his shirt from the ground, he quickly got himself dressed, swinging his coat back on and sheathing his trusty sword.

Lucien exited the room and found everyone sitting or standing around the kitchen table, discussing plans and getting to know each other. Sad that they hadn't woken him sooner.

"Ah, Lucien, my boy. Come sit." Gandalf patted the seat next to him which the boy gladly took. He received a few smiles but also quite a few looks of suspicion and caution.

"Good morning Lucien," Balin greeted merrily.

The young wizard grinned, "And good morning to you...?"

"Ah, forgive me, my name is Balin. At your service," The older dwarf bowed slightly, "And this is my brother Dwalin." Said dwarf looked at him sceptically, Lucien only smiled.

Searching the room, he found the hobbit standing against a wall as if he was not wanted by anyone there, which was terribly untrue. Lucien motioned for Bilbo to come closer and the creature listened hesitantly. "You are looking quite skinny for a hobbit, why don't you eat something." He handed over a piece of bread from the table which Bilbo quickly took. Lucien watched as he shoved it into his mouth and almost swallow it whole, he chuckled quietly as it reminded him of how he ate.

Feeling something burning into the side of his head Lucien turned away and found blue eyes staring back at him. Bold, hard and wise. They contrasted against his pure black orbs, mixing to create something darker, something different. They almost tore through the wizard's walls and into his soul but he pushed back and turned the tables, looking into his soul instead. What Lucien saw was heartache and fatigue and worry but there was strength and mystery as well and a lot of it.

Thorin Oakenshield was just as unusual and puzzling as he was, though he would never admit it. They were similar but as unalike as they come, could there be a connection? Lucien loved those.

Blue eyes looked away first, listening in to the conversation that was happening around them. He spoke of Azog and Beorn talked of his past. It made the wizard sad.

"Which is why we must go through Mirkwood," Gandalf said firmly. Mirkwood, where the trees were sick and the elves were unfriendly. Unlike Rivendell where they were welcoming and the lands were rich and cared for.

"A darkness lies upon that forest, fell things creep beneath those trees." Beorn uttered as he tended to his small animals, "There is an alliance between the Orcs of Moria and The Necromancer in Dol Guldur. I would not venture there, except in great need."

"We will take the Elven Road, their path is still safe."

"Safe? The Wood Elves of Mirkwood are not like their kin. They're less wise and more dangerous. Much like this one." The skin-changer pointed to the young wizard who seemed to be laughing loudly at something Kili had said and not paying any attention, even when all eyes turned to him. Kili was also laughing, falling ever so slightly from his chair while his older brother was rolling his eyes behind him as he kept a hold on both of their shoulders. Beorn soon returned back to the topic at hand, "But it matters not."

"What do you mean?" Thorin tore his eyes from his nephews and the strange boy.

"These lands are crawling with Orcs, their numbers are growing and you are on foot. You will never reach the forest alive. I don't like dwarves, they're greedy and blind, blind to the lives of those they deem lesser than their own." He made a point to pick up the mouse Dwalin had pushed from his shoulder, giving him a short glare, "But Orcs I hate more. What do you need?"

The company and Lucien followed Beorn outside to his horses, it was made clear he was going to be a new companion on this journey which had Thorin suspicious of course.

"Is this really necessary?" He asked the older wizard, seeming to ignore the boy walking in front of him.

Gandalf gave a small smile, "Thorin, are you doubting Lucien." He was simply poking fun at the prince but Thorin was a serious person.

"I never said that."

"Tell me this, would you rather have a friend or an enemy?" Gandalf questioned, turning his eyes down to Thorin expectantly.

He thought for a moment, "A...friend, I guess. Why?"

"Lucien's mind is like a child's. If you do not respect him or if you reject his help, he will be angry. It's just the way he is."

"So you want me to babysit a child on this important task?" Thorin frowned.

Gandalf shook his head, "Lucien can care for himself, do not think otherwise. He will just be a little difficult to handle." It was obvious Lucien did not act his age, he was much less mature then Gandalf and it showed with the way he spoke and how he got along best with the younger dwarves of the company.

"You just made this ten times harder, didn't you?" Thorin narrowed his eyes.

"No, I just made this ten times more interesting." Gandalf chuckled to himself. The dwarf could only huff in annoyance and continue to walk ahead.

**What comes next are materials data, not part of the article**
____________
# 1
Starting from a DFT-relaxed cell (PBE+U, the Materials Project), the powder diffraction line list of Sr3MgCr2S2O5 was computed for Cu Kα.
No peak broadening, texture or thermal motion is included.

Principal peaks in the range 10 to 80 degrees two-theta, low angle first:
2θ = 13.1°, 6.767 Å, I = 9, hkl 0 0 4; 2θ = 31.9°, 2.805 Å, I = 45, hkl 1 1 0; 2θ = 32.3°, 2.769 Å, I = 100, hkl 1 0 7; 2θ = 37.5°, 2.396 Å, I = 12, hkl 1 0 9; 2θ = 37.8°, 2.382 Å, I = 20, hkl 1 1 6; 2θ = 45.8°, 1.983 Å, I = 35, hkl 2 0 0; 2θ = 57.1°, 1.612 Å, I = 37, hkl 2 1 7; 2θ = 57.9°, 1.592 Å, I = 13, hkl 1 1 14; 2θ = 66.7°, 1.402 Å, I = 10, hkl 2 2 0; 2θ = 67.7°, 1.384 Å, I = 9, hkl 2 0 14

Structural model:
Cell lengths 3.966, 3.966, 27.066 Å; angles 90.00, 90.00, 90.00 degrees
Space group I-4m2 (No. 119)
Unique sites:
1 Sr 0.000 0.000 0.000 (multiplicity 2)
2 Sr 0.000 0.000 0.137 (multiplicity 4)
3 Mg 0.000 0.500 0.750 (multiplicity 2)
4 Cr 0.000 0.000 0.429 (multiplicity 4)
5 S 0.000 0.000 0.307 (multiplicity 4)
6 O 0.000 0.000 0.500 (multiplicity 2)
7 O 0.000 0.500 0.079 (multiplicity 4)
8 O 0.000 0.500 0.580 (multiplicity 4)

# 2
Starting from a DFT-relaxed cell (PBE+U, the Materials Project), the powder diffraction line list of Ba2LaMn2O7 was computed for Cu Kα.
No peak broadening, texture or thermal motion is included.

Principal peaks in the range 10 to 80 degrees two-theta, low angle first:
2θ = 22.6°, 3.937 Å, I = 18, hkl 1 0 1; 2θ = 25.5°, 3.497 Å, I = 12, hkl 0 0 6; 2θ = 30.8°, 2.898 Å, I = 100, hkl 1 0 5; 2θ = 31.6°, 2.834 Å, I = 66, hkl 1 1 0; 2θ = 41.0°, 2.202 Å, I = 34, hkl 1 1 6; 2θ = 45.3°, 2.004 Å, I = 37, hkl 2 0 0; 2θ = 54.4°, 1.686 Å, I = 13, hkl 1 1 10; 2θ = 55.8°, 1.648 Å, I = 38, hkl 2 1 5; 2θ = 64.3°, 1.449 Å, I = 11, hkl 2 0 10; 2θ = 65.9°, 1.417 Å, I = 11, hkl 2 2 0

Structural model:
Cell lengths 4.008, 4.008, 20.984 Å; angles 90.00, 90.00, 90.00 degrees
Space group I4/mmm (No. 139)
Unique sites:
1 Ba 0.000 0.000 0.181 (multiplicity 4)
2 La 0.000 0.000 0.000 (multiplicity 2)
3 Mn 0.000 0.000 0.407 (multiplicity 4)
4 O 0.000 0.000 0.314 (multiplicity 4)
5 O 0.000 0.000 0.500 (multiplicity 2)
6 O 0.000 0.500 0.086 (multiplicity 8)

----------

[1]
# Ca5Zn2Hg2
Theoretical powder diffractogram, Cu Kα (λ = 1.5418 Å). Input: a cell relaxed with GGA-PBE.
Kinematic intensities with the Lorentz-polarization factor, no thermal factor.

Structural model:
a = 16.722 Å, b = 7.915 Å, c = 7.949 Å
α = 90.00°, β = 90.00°, γ = 90.00°
Space group Cmce (No. 64)
One atom of each set of equivalent atoms:
Ca: 0.000 0.000 0.000 [4 per cell]
Ca: 0.138 0.177 0.326 [16 per cell]
Zn: 0.000 0.113 0.615 [8 per cell]
Hg: 0.209 0.000 0.000 [8 per cell]

Most intense lines, 2θ from 15° to 90°, by angle:
(0 0 2), 22.42 deg, rel. 553
(3 1 1), 22.49 deg, rel. 703
(2 0 2), 24.85 deg, rel. 477
(3 1 2), 29.83 deg, rel. 175
(4 2 0), 31.11 deg, rel. 1000
(0 2 2), 31.91 deg, rel. 460
(2 2 2), 33.71 deg, rel. 305
(7 1 1), 41.07 deg, rel. 407
(5 1 3), 45.13 deg, rel. 298
____________

Lucien chose a horse and hopped on, making sure it was well fed before they set off. The dwarves and hobbit around him also tended to their new horses, some having to share with one another but there was no complaint.

Staring over the lands, the young wizard wondered how this journey would and was in store for because the beginning was both rocky and quite welcome, he didn't know what to make of it. Lucien understood Thorin's caution around him, he did suddenly join the company halfway through their travels after all. But Bilbo, Balin, Fili, and Kili were nice enough and awfully welcome as well.

"Lucien, can you teleport us all the way to Erebor?" Kili questioned as he trotted over on his own horse with his brother sitting behind him.

Lucien laughed, throwing his head back slightly, "No, Kili, I can not," He told him with amusement towards the young mind, "My magic does not work like that." He wished it did, however, as that would be immensely helpful right now.

"Let's go!" Thorin called from the front of the group.

Lucien and Kili rolled their eyes at each other and followed behind.

As the sun rose higher in the sky, they grew closer to the dead forest of Mirkwood. Lucien could feel the sickness within the trees and the darkness of the creature that resided inside it. Though he was sure the palace was a grand place, just not as beautiful as one of his homes, Rivendell.

The feeling of uncertainty crept through his bones and meddled with his nerves, he very much disliked this type of emotion so he tried to push it to the back of his mind but Gandalf felt it too and gave his friend a knowing look. Lucien only scowled and turned his eyes ahead, already seeing the entrance.

Great. He had to walk through that place.